

2014/10/15 ¤U¤È 10:05:10

iphone Programming Glossary: cmtimerange

Merge Two Video files in iPhone Application


filePath exportSession.outputURL NSURL fileURLWithPath filePath exportSession.outputFileType AVFileTypeQuickTimeMovie CMTimeRange range if i 0 CMTime start CMTimeMakeWithSeconds 0.0 600 CMTime duration CMTimeMakeWithSeconds 10.0 600 range CMTimeRangeMake.. range if i 0 CMTime start CMTimeMakeWithSeconds 0.0 600 CMTime duration CMTimeMakeWithSeconds 10.0 600 range CMTimeRangeMake start duration else CMTime start CMTimeMakeWithSeconds 10.0 600 range CMTimeRangeMake start anAsset.duration exportSession.timeRange.. 10.0 600 range CMTimeRangeMake start duration else CMTime start CMTimeMakeWithSeconds 10.0 600 range CMTimeRangeMake start anAsset.duration exportSession.timeRange range exportSession exportAsynchronouslyWithCompletionHandler ^ dispatch_async..

How can I overlap audio files and combine for iPhone in Xcode?


0 1 CMTime trackDuration songAsset.duration CMTime longestTime CMTimeMake 848896 44100 19.24 seconds CMTimeRange tRange CMTimeRangeMake startTime trackDuration Set Volume AVMutableAudioMixInputParameters trackMix AVMutableAudioMixInputParameters.. 1 CMTime trackDuration songAsset.duration CMTime longestTime CMTimeMake 848896 44100 19.24 seconds CMTimeRange tRange CMTimeRangeMake startTime trackDuration Set Volume AVMutableAudioMixInputParameters trackMix AVMutableAudioMixInputParameters audioMixInputParametersWithTrack..

Merging Audio with Video Objective-C


CMTime nextClipStartTime kCMTimeZero AVURLAsset videoAsset AVURLAsset alloc initWithURL video_inputFileUrl options nil CMTimeRange video_timeRange CMTimeRangeMake kCMTimeZero videoAsset.duration AVMutableCompositionTrack a_compositionVideoTrack mixComposition.. AVURLAsset videoAsset AVURLAsset alloc initWithURL video_inputFileUrl options nil CMTimeRange video_timeRange CMTimeRangeMake kCMTimeZero videoAsset.duration AVMutableCompositionTrack a_compositionVideoTrack mixComposition addMutableTrackWithMediaType.. error nil NSLog @ c AVURLAsset audioAsset AVURLAsset alloc initWithURL audio_inputFileUrl options nil CMTimeRange audio_timeRange CMTimeRangeMake kCMTimeZero audioAsset.duration AVMutableCompositionTrack b_compositionAudioTrack mixComposition..

How to use scaleTimeRange in an AVMutableComposition?

**Here the article breaks off for quantum chemistry results**
/*
1.
A structure of composition C43H33ClF3N2P2PdSTe. Source: the Open Molecules 2025 dataset; level of theory: ωB97M-V with the def2-TZVPD basis set.

```
! wB97M-V def2-TZVPD RIJCOSX def2/J DEFGRID3
* xyz -1 3
Pd -1.38887 0.71247 0.81598
Te 2.98018 -1.87464 0.25689
C 3.08225 -2.95143 -1.57057
C 4.19475 -2.80416 -2.39550
C 4.26545 -3.52795 -3.57625
N 3.31791 -4.36435 -3.99419
C 2.25601 -4.49843 -3.20064
C 2.09705 -3.83422 -1.99408
C 1.12658 -0.97644 0.16652
P -0.35071 -1.48861 0.96469
C 0.14344 -2.50109 2.40050
C 0.91430 -1.86310 3.37419
C 1.36284 -2.54913 4.48907
C 1.04950 -3.89347 4.65225
C 0.29511 -4.54020 3.68659
C -0.15463 -3.84982 2.56775
C -1.36622 -2.60854 -0.05385
C -1.15206 -2.67554 -1.42639
C -2.01924 -3.38594 -2.24423
C -3.11953 -4.03029 -1.70014
C -3.35898 -3.94644 -0.33362
C -2.49483 -3.23364 0.48128
P 0.82267 0.70128 -0.23967
C 2.17370 1.75142 0.40310
C 2.04370 2.20007 1.71689
C 3.03346 2.97363 2.30361
C 4.16680 3.31258 1.57515
C 4.30254 2.87743 0.26478
C 3.31061 2.10122 -0.31986
C 0.97359 0.97851 -2.04166
C 1.46846 0.00626 -2.90614
C 1.51262 0.23570 -4.27514
C 1.05388 1.43776 -4.79473
C 0.55121 2.41060 -3.94098
C 0.50967 2.17983 -2.57480
H 4.99208 -2.11753 -2.13806
H 5.12851 -3.42048 -4.22639
H 1.48691 -5.18340 -3.54401
H 1.21421 -4.01038 -1.39454
H 1.17669 -0.81846 3.24023
H 1.96433 -2.03579 5.22925
H 1.39971 -4.43256 5.52347
H 0.06102 -5.59227 3.79459
H -0.72242 -4.37756 1.81258
H -0.31019 -2.14430 -1.85220
H -1.84218 -3.41842 -3.31227
H -3.80165 -4.57780 -2.33832
H -4.23095 -4.42520 0.09479
H -2.70794 -3.14717 1.54132
H 1.14567 1.95305 2.27623
H 2.90926 3.32249 3.32116
H 4.94088 3.92023 2.02770
H 5.18431 3.14223 -0.30604
H 3.42094 1.76566 -1.34410
H 1.81248 -0.93854 -2.50511
H 1.89802 -0.53301 -4.93431
H 1.07696 1.61328 -5.86330
H 0.17707 3.34521 -4.34096
H 0.10100 2.93484 -1.91245
F -5.41435 1.38582 -2.86276
C -4.33775 2.02259 -3.35867
F -3.62242 1.11921 -4.04881
F -4.81432 2.90331 -4.27611
C -3.53637 2.71954 -2.30074
C -3.33528 4.08145 -2.37713
C -2.57889 4.73144 -1.40821
C -2.05302 3.96078 -0.38838
N -2.24162 2.65124 -0.29793
C -2.96493 1.98893 -1.22853
S -3.06881 0.29494 -0.98572
H -3.76540 4.63726 -3.19920
H -2.40146 5.79625 -1.44983
H -1.43928 4.39935 0.39239
Cl 1.20512 3.65248 5.69006
C -0.00736 2.84604 4.72417
C -0.84732 3.59635 3.90796
C -1.81519 2.96576 3.15604
C -1.98022 1.55394 3.18199
C -2.94887 0.88052 2.37793
C -1.10066 0.83273 4.03374
C -0.13527 1.46416 4.79007
H -0.73911 4.67283 3.87555
H -2.47409 3.55126 2.52618
H -3.75410 1.46854 1.95228
H -3.22137 -0.12929 2.66376
H -1.20463 -0.24419 4.08856
H 0.51905 0.89129 5.43531
*
```

The LUMO energy (alpha / beta) comes out at 2.3 / 1.8 eV. The HOMO energy (alpha / beta) is -3.2 / -4.6 eV. The value obtained for the gap between HOMO and LUMO (alpha / beta) is 5.49 / 6.44 eV. For the max |F|, the calculation gives 0.0043 Eh/bohr.

=====

2.
*/


length of video in an AVMutableComposition to speed it up or slow it down. I know the code to do it is scaleTimeRange CMTimeRange timeRange toDuration CMTime duration The problem is that I don't know how to use that code. What I have currently for my.. AVMediaTypeAudio preferredTrackID kCMPersistentTrackID_Invalid compositionCommentaryTrack insertTimeRange CMTimeRangeMake kCMTimeZero videoAsset.duration ofTrack audioAsset tracksWithMediaType AVMediaTypeAudio objectAtIndex 0 atTime kCMTimeZero.. AVMediaTypeVideo preferredTrackID kCMPersistentTrackID_Invalid compositionVideoTrack insertTimeRange CMTimeRangeMake kCMTimeZero videoAsset.duration ofTrack videoAsset tracksWithMediaType AVMediaTypeVideo objectAtIndex 0 atTime kCMTimeZero..

AVAsset and AVAssetTrack - Track Management in IOS 4.0


AVURLAsset URLAssetWithURL sourceMovieURL options nil Then add your video to your composition calculate time CMTimeRange editRange CMTimeRangeMake CMTimeMake 0 600 CMTimeMake sourceAsset.duration.value sourceAsset.duration.timescale and add.. sourceMovieURL options nil Then add your video to your composition calculate time CMTimeRange editRange CMTimeRangeMake CMTimeMake 0 600 CMTimeMake sourceAsset.duration.value sourceAsset.duration.timescale and add into your composition..

How to get file size and current file size from NSURL for AVPlayer iOS4.0


times playerItem.loadedTimeRanges there is only ever one NSValue in the array NSValue value times objectAtIndex 0 CMTimeRange range value getValue range float start CMTimeGetSeconds range.start float duration CMTimeGetSeconds range.duration _videoAvailable..

Pre-buffering for AVQueuePlayer


I found out is that a few seconds in the queue's first item the loadedTimeRanges for the second item shows up a new CMTimeRange with start time 0 and some small duration. The duration can increase up to 60 or so seconds while the previous item keeps..

Make movie file with picture Array and song file, using AVAsset


CMTime nextClipStartTime kCMTimeZero AVURLAsset videoAsset AVURLAsset alloc initWithURL video_inputFileUrl options nil CMTimeRange video_timeRange CMTimeRangeMake kCMTimeZero videoAsset.duration AVMutableCompositionTrack a_compositionVideoTrack mixComposition.. AVURLAsset videoAsset AVURLAsset alloc initWithURL video_inputFileUrl options nil CMTimeRange video_timeRange CMTimeRangeMake kCMTimeZero videoAsset.duration AVMutableCompositionTrack a_compositionVideoTrack mixComposition addMutableTrackWithMediaType.. a_timeRange.duration AVURLAsset audioAsset AVURLAsset alloc initWithURL audio_inputFileUrl options nil CMTimeRange audio_timeRange CMTimeRangeMake kCMTimeZero audioAsset.duration AVMutableCompositionTrack b_compositionAudioTrack mixComposition..

Using AVAssetReader to read (stream) from a remote asset


and initialize an associated AVMutableCompositionTrack of type AVMediaTypeVideo. Insert the appropriate CMTimeRange from video track retrieved earlier into this AVMutableCompositionTrack. Similar to b and c now create your AVAssetReader.. video tracks successfully but while trying to create the AVMutableCompositionTrack it fails when trying to insert the CMTimeRange from the source track into the AVMutableCompositionTrack with an 'Unknown Error' NSOSStatusErrorDomain 12780. 4 Remote M3U8's..

Combining two .caf files on iPhone


0 1 CMTime trackDuration songAsset.duration CMTime longestTime CMTimeMake 848896 44100 19.24 seconds CMTimeRange tRange CMTimeRangeMake startTime trackDuration Set Volume AVMutableAudioMixInputParameters trackMix AVMutableAudioMixInputParameters.. 1 CMTime trackDuration songAsset.duration CMTime longestTime CMTimeMake 848896 44100 19.24 seconds CMTimeRange tRange CMTimeRangeMake startTime trackDuration Set Volume AVMutableAudioMixInputParameters trackMix AVMutableAudioMixInputParameters audioMixInputParametersWithTrack..

AVPlayer streaming progress


have the following NSTimeInterval availableDuration NSArray loadedTimeRanges self.player currentItem loadedTimeRanges CMTimeRange timeRange loadedTimeRanges objectAtIndex 0 CMTimeRangeValue float startSeconds CMTimeGetSeconds timeRange.start float durationSeconds.. loadedTimeRanges self.player currentItem loadedTimeRanges CMTimeRange timeRange loadedTimeRanges objectAtIndex 0 CMTimeRangeValue float startSeconds CMTimeGetSeconds timeRange.start float durationSeconds CMTimeGetSeconds timeRange.duration NSTimeInterval..

MOV to Mp4 video conversion iPhone Programmatically


AVFileTypeMPEG4 CMTime start CMTimeMakeWithSeconds 1.0 600 CMTime duration CMTimeMakeWithSeconds 3.0 600 CMTimeRange range CMTimeRangeMake start duration exportSession.timeRange range exportSession exportAsynchronouslyWithCompletionHandler.. CMTime start CMTimeMakeWithSeconds 1.0 600 CMTime duration CMTimeMakeWithSeconds 3.0 600 CMTimeRange range CMTimeRangeMake start duration exportSession.timeRange range exportSession exportAsynchronouslyWithCompletionHandler ^ switch exportSession..